How does this even exist?

Here is an optimized crystal structure of Na3DyP2O8 from the Materials Project. Energies are from PBE.

Unit cell a=13.9488 b=5.3262 c=18.5853 alpha=90.00 beta=90.00 gamma=90.00
Element x y z (fractional)
Na (0.0314, 0.0383, 0.1046)
Na (0.0481, 0.4938, 0.3433)
Na (0.1121, 0.0008, 0.4430)
Na (0.1384, 0.4977, 0.1646)
Na (0.2027, 0.9805, 0.2635)
Na (0.2169, 0.5082, 0.5000)
Na (0.2831, 0.5082, 0.0000)
Na (0.2973, 0.9805, 0.7635)
Na (0.3616, 0.4977, 0.6646)
Na (0.3879, 0.0008, 0.9430)
Na (0.4519, 0.4938, 0.8433)
Na (0.4686, 0.0383, 0.6046)
Na (0.5314, 0.9617, 0.1046)
Na (0.5481, 0.5062, 0.3433)
Na (0.6121, 0.9992, 0.4430)
Na (0.6384, 0.5023, 0.1646)
Na (0.7027, 0.0195, 0.2635)
Na (0.7169, 0.4918, 0.5000)
Na (0.7831, 0.4918, 0.0000)
Na (0.7973, 0.0195, 0.7635)
Na (0.8616, 0.5023, 0.6646)
Na (0.8879, 0.9992, 0.9430)
Na (0.9519, 0.5062, 0.8433)
Na (0.9686, 0.9617, 0.6046)
Dy (0.1112, 0.4279, 0.6882)
Dy (0.1384, 0.0571, 0.9194)
Dy (0.3616, 0.0571, 0.4194)
Dy (0.3888, 0.4279, 0.1882)
Dy (0.6112, 0.5721, 0.6882)
Dy (0.6384, 0.9429, 0.9194)
Dy (0.8616, 0.9429, 0.4194)
Dy (0.8888, 0.5721, 0.1882)
P (0.0246, 0.5309, 0.0112)
P (0.0268, 0.9799, 0.7676)
P (0.2224, 0.5080, 0.8396)
P (0.2264, 0.9617, 0.5963)
P (0.2736, 0.9617, 0.0963)
P (0.2776, 0.5080, 0.3396)
P (0.4732, 0.9799, 0.2676)
P (0.4754, 0.5309, 0.5112)
P (0.5246, 0.4691, 0.0112)
P (0.5268, 0.0201, 0.7676)
P (0.7224, 0.4920, 0.8396)
P (0.7264, 0.0383, 0.5963)
P (0.7736, 0.0383, 0.0963)
P (0.7776, 0.4920, 0.3396)
P (0.9732, 0.0201, 0.2676)
P (0.9754, 0.4691, 0.5112)
O (0.0000, 0.2731, 0.2309)
O (0.0000, 0.7269, 0.7309)
O (0.0025, 0.0263, 0.3485)
O (0.0016, 0.5080, 0.0931)
O (0.0273, 0.8022, 0.2286)
O (0.0412, 0.8140, 0.9915)
O (0.0571, 0.5805, 0.4652)
O (0.1141, 0.4537, 0.8446)
O (0.1187, 0.3785, 0.9983)
O (0.1325, 0.1150, 0.6078)
O (0.1350, 0.0356, 0.7618)
O (0.1917, 0.0736, 0.1420)
O (0.2084, 0.6807, 0.6182)
O (0.2244, 0.2925, 0.3806)
O (0.2464, 0.5080, 0.2591)
O (0.2491, 0.7632, 0.8746)
O (0.2505, 0.9691, 0.0143)
O (0.2495, 0.9691, 0.5143)
O (0.2509, 0.7632, 0.3746)
O (0.2536, 0.5080, 0.7591)
O (0.2756, 0.2925, 0.8806)
O (0.2916, 0.6807, 0.1182)
O (0.3083, 0.0736, 0.6420)
O (0.3650, 0.0356, 0.2618)
O (0.3675, 0.1150, 0.1078)
O (0.3813, 0.3785, 0.4983)
O (0.3859, 0.4537, 0.3446)
O (0.4429, 0.5805, 0.9652)
O (0.4588, 0.8140, 0.4915)
O (0.4727, 0.8022, 0.7286)
O (0.4975, 0.0263, 0.8485)
O (0.4984, 0.5080, 0.5931)
O (0.5000, 0.2731, 0.7309)
O (0.5000, 0.7269, 0.2309)
O (0.5016, 0.4920, 0.0931)
O (0.5025, 0.9737, 0.3485)
O (0.5273, 0.1978, 0.2286)
O (0.5412, 0.1860, 0.9915)
O (0.5571, 0.4195, 0.4652)
O (0.6141, 0.5463, 0.8446)
O (0.6187, 0.6215, 0.9983)
O (0.6325, 0.8850, 0.6078)
O (0.6350, 0.9644, 0.7618)
O (0.6917, 0.9264, 0.1420)
O (0.7084, 0.3193, 0.6182)
O (0.7244, 0.7075, 0.3806)
O (0.7464, 0.4920, 0.2591)
O (0.7491, 0.2368, 0.8746)
O (0.7505, 0.0309, 0.0143)
O (0.7495, 0.0309, 0.5143)
O (0.7509, 0.2368, 0.3746)
O (0.7536, 0.4920, 0.7591)
O (0.7756, 0.7075, 0.8806)
O (0.7916, 0.3193, 0.1182)

In fact, now I’m wondering if that’s one way you know something is great? When you say: “How does this even exist?”

~ Austin Kleon from, The making of Lilo & Stitch


Yes, that’s definitely one way.

In about ten weeks I’m making my annual journey to Boston and neighboring Somerville for a parkour event. Much has changed over the years I’ve been going. It’s moved from Septembers to Junes. The size has waxed and waned. A few of the same people are usually there, and there is an endless banquet of new forever-friends.

If you get into doing this thing, and you start going to play and train with others, you soon have a very unusual problem: The more you run into a particular someone, the more it happens in different places. You start to have this precious view of who this person is separated from where that person normally is. Sometimes you know someone well, but have no idea where you know them from. It’s weird. It’s awesome. How does this even exist?


Embedded in a culture

Ray Liotta died on May 26, 2022. I wasn’t a particular fan of his, but he was definitely an actor who was a significant part of the culture I grew up in. There are many such people; actors of course, and also authors, musicians, journalists, teachers, scientists, politicians, military leaders, activists, and others less classifiable.

It’s one thing to think: That huge band that I love, which I’ve seen in concert… they’ve retired and hung up the act. Just knowing the people are still around however, means that something of, whatever it was that I loved, continues on in whatever it is, (public or not,) that they’re doing. Nostalgia rises up as people retire and things become, “remember when?”

But slowly, year by year, those people die and that makes it clear: Everything has its time, and that time ends. There but for the grace of God go I, is a beautiful turn of phrase.

# Someone pasted calculated crystals at this point
Here is Na2ZnS2O12 after structural relaxation from the Materials Project database. Energies are from GGA-PBE.

a b c (Å): 5.5078 8.0748 11.8168
angles (deg): 90.00 92.45 90.00
With the nearest neighbours (Å) after each atom.
Space group P2_1/c (No. 14)
One atom of each set of equivalent atoms:
1 Na 0.1537 0.0338 0.3733 x4  5 O 2.36-2.60
2 Zn 0.0000 0.0000 0.0000 x2  4 O 2.01-2.06
3 S 0.3562 0.2175 0.6310 x4  4 O 1.46-1.56
4 O 0.0134 0.1630 0.7858 x4  1 O 1.31
5 O 0.0154 0.6938 0.6067 x4  1 O 1.31
6 O 0.2175 0.0871 0.5705 x4  1 S 1.47
7 O 0.2517 0.1145 0.1074 x4  1 S 1.49
8 O 0.3401 0.1860 0.7606 x4  1 S 1.56
9 O 0.3828 0.7128 0.8865 x4  1 S 1.46

## Properties
E (MP2020)   -182.249 eV for the cell shown
Energy relative to the elements   -1.15 eV/atom
E_tot   -5.247 eV per atom
Crystal system   monoclinic

* * * * *

Below is an optimized crystal structure of RbBa2I5, with properties calculated at the PBE-GGA level.

Results
Uncorrected energy = -0.242 Ry per atom
Symmetry = P2_1/c (14)
Energy relative to the elements = -1.978 eV/atom

```
RbBa2I5
1.0
-1.745 6.929 6.249
-6.549 -6.419 5.290
11.518 -4.764 8.499
Rb I Ba
4 20 8
direct
0.979 0.493 0.679
0.021 0.507 0.321
0.479 0.507 0.821
0.521 0.493 0.179
0.333 0.220 0.316
0.197 0.769 0.781
0.042 0.779 0.503
0.542 0.221 0.997
0.165 0.458 0.091
0.167 0.220 0.816
0.667 0.780 0.684
0.833 0.780 0.184
0.803 0.231 0.219
0.164 0.045 0.098
0.336 0.045 0.598
0.958 0.221 0.497
0.836 0.955 0.902
0.458 0.779 0.003
0.835 0.542 0.909
0.697 0.231 0.719
0.335 0.458 0.591
0.664 0.955 0.402
0.303 0.769 0.281
0.665 0.542 0.409
0.525 0.000 0.180
0.078 0.751 0.008
0.422 0.751 0.508
0.975 0.000 0.680
0.475 0.000 0.820
0.578 0.249 0.492
0.025 0.000 0.320
0.922 0.249 0.992
```

* * * * *

Record 1
Below is crystalline NdReMoO8 at its relaxed geometry, with properties calculated at the GGA+U level.

Cell: 6.279 9.977 13.324 Å, 90.00 111.58 90.00°
Space group P2_1/c (No. 14)
Inequivalent atoms, fractional coordinates:
Nd (0.176, 0.238, 0.375) (multiplicity 4)
Re (0.376, 0.011, 0.155) (multiplicity 4)
Mo (0.158, 0.664, 0.920) (multiplicity 4)
O (0.039, 0.178, 0.512) (multiplicity 4)
O (0.076, 0.720, 0.309) (multiplicity 4)
O (0.156, 0.002, 0.369) (multiplicity 4)
O (0.161, 0.601, 0.653) (multiplicity 4)
O (0.303, 0.079, 0.025) (multiplicity 4)
O (0.361, 0.074, 0.809) (multiplicity 4)
O (0.401, 0.138, 0.249) (multiplicity 4)
O (0.440, 0.704, 0.013) (multiplicity 4)

Formation energy: -2.576 eV per atom
Total moment: 0.0 μB/f.u.
Crystal system: monoclinic

Record 2
Below is crystalline V5Zn4Te3O18 at its relaxed geometry, with properties calculated at the GGA+U level.

Cell: 14.966 9.146 10.765 Å, 90.00 95.04 90.00°
Space group C2/c (No. 15)
Inequivalent atoms, fractional coordinates:
V (0.000, 0.170, 0.250) (multiplicity 4)
V (0.149, 0.151, 0.768) (multiplicity 8)
V (0.162, 0.303, 0.051) (multiplicity 8)
Zn (0.033, 0.351, 0.535) (multiplicity 8)
Zn (0.205, 0.145, 0.429) (multiplicity 8)



Inserted here: data records
~~~
The following is a PBE calculation of a relaxed KHC2O4 crystal, from the Materials Project database.

```
KHC2O4
1.0
4.4899 0.0000 0.0000
0.0000 12.9238 0.0000
-2.1297 0.0000 7.7012
K H C O
4 4 8 16
Cartesian
0.2551 0.8696 2.1007 K
-0.8098 5.5923 5.9513 K
3.1699 7.3315 1.7499 K
2.1051 12.0542 5.6006 K
-1.4620 9.3658 7.5648 H
-0.3971 10.0198 3.7142 H
2.7573 2.9040 3.9871 H
3.8222 3.5579 0.1365 H
-0.1037 1.9698 5.4765 C
0.9611 4.4921 1.6259 C
0.4672 8.6858 4.8458 C
1.5320 10.6999 0.9951 C
0.8282 2.2239 6.7061 C
1.8930 4.2380 2.8555 C
1.3991 8.4317 6.0753 C
2.4639 10.9540 2.2247 C
-0.8220 2.9579 5.1103 O
0.2428 3.5040 1.2597 O
-0.0598 7.7423 4.2529 O
1.0050 11.6433 0.4023 O
-0.0659 0.8251 4.9641 O
0.9989 5.6367 1.1135 O
1.3612 9.4265 0.6778 O
0.2963 9.9591 4.5284 O
2.0639 2.9647 3.1728 O
0.9990 3.4972 7.0234 O
1.3613 7.2870 6.5877 O
2.4261 12.0986 2.7371 O
1.3552 1.2804 7.2989 O
2.4200 5.1814 3.4483 O
2.1174 9.4198 6.4416 O
3.1822 9.9659 2.5910 O
```

Calculated volume ... 446.9 Å³ per cell
Formation energy from the elements ... -1.677 eV/atom
Total moment ... 0.0 μB/cell

=====

FeF3, optimized geometry, DFT meta-GGA r2SCAN; space-group type = Fd-3m, No. 227; ΔE_f = -2527 meV per atom
1.0
0.000 5.173 5.173
5.173 0.000 5.173
5.173 5.173 0.000
Fe F
4 12
Cartesian
0.000 0.000 0.000
~~~
So much for the data records

The Halo Effect tells us that we will find a lot of false positives. The attributes we think are causal of success are the same ones we often deem causal of failure when company performance deteriorates. This is the strategy paradox.

~ Shane Parrish from, Culture Eats Strategy: Nucor’s Ken Iverson on Building a Different Kind of Company

It’s an interesting post about culture. I’m interested in Iverson’s memoir— But to be honest, I don’t have time enough as it is to read the shelves of books already in my possession. (Let alone the hundred in the “wishlist” queue.) So ima let this one pass.

But culture does interest me. I’m apparently an inveterate systems builder. For better, but often for worse, I’m drawn to build processes and communities. Once— just once— I’d like to see something I create grow on its own. Not, “…and make me rich” nor “…and make me famous.” Just simply grow on its own. A great idea is not enough. Skill and knowledge are not enough. Timing is not enough. Vision and charisma are not enough. There’s something ineffable—because if I could describe it I’d go do it rather than write rambling blog posts casting about for something I think, despite my efforts to look around, is always just out of my field of view… There is something ineffable which I am missing.


Bad taste

Saying that taste is just personal preference is a good way to prevent disputes. The trouble is, it’s not true. You feel this when you start to design things.

~ Paul Graham from, Taste for Makers


I’m not certain about “good” taste. I’m not convinced that there’s an objectively good measure of, well, good taste. I think too much of what some would say is “good,” is actually rooted in the current culture.

But I feel comfortable saying that there is such a thing as bad taste. There are clear reasons, for which one can present a clear case, why things are gauche. There’re clear situations and choices that are in bad taste. Mind you, I can readily imagine art which is intentionally in bad taste; that’s a good thing because art’s purpose is (sometimes) to push the envelope or to change society and culture. But in general, bad taste exists.


How do you create culture?

I’ve become increasingly interested in how culture is created within teams. One part is clearly modeling the behavior one wants to see. But I’ve been spending time thinking about how I talk to others about goals, challenges and setbacks. The more I look, the more I see I’m faced with so many interwoven elements: Communication—synchronous, asynchronous, mixed?; Feedback—positive, negative, immediate, delayed, public, private; Goal setting—team, individual, conservative, challenging, insane; Growth; Trust; Shared vision; Shared mission; Morals …

I find myself focusing almost entirely on communication. I try to spend as much time as possible explaining what I’m thinking and what my goals and visions are. At the sametime, the better I get at asking questions, the better I get at understanding what’s going on. There’s a balance. Too little conveying of direct instruction and concrete goals leaves some people struggling to grow. The opposite is also true; Too much and some people are stiffled.

“Curiouser and curiouser,” said Alice.

So what’s a question you ask your teammates that has led to surprising insights?
